Related to: Is That Your True Rejection?
"If you’re interested in being on the right side of disputes, you will refute your opponents’ arguments. But if you’re interested in producing truth, you will fix your opponents’ arguments for them. To win, you must fight not only the creature you encounter; you must fight the most horrible thing that can be constructed from its corpse."
-- Black Belt Bayesian, via Rationality Quotes 13
Unrelated to this text: crystal structures =
The following is a PBE-GGA calculation of In2AsS after structural relaxation, from the Alexandria database.

```
In2AsS
1.0
-4.731 0.597 -3.989
-3.593 -3.419 3.749
-6.028 3.836 2.877
As S In
2 2 4
direct
0.000 0.000 0.000
0.750 0.250 0.500
0.500 0.500 0.000
0.250 0.750 0.500
0.623 0.125 0.250
0.127 0.625 0.250
0.375 0.377 0.750
0.875 0.873 0.750
```

Computed properties:
Offset from the most stable computed form ... 4.1 kJ per mole of atoms
Space group ... I-42d (122)
DOS at the Fermi energy ... 1.5 states/eV/f.u.
Raw formation energy ... -0.227 eV/atom


The following is a PBE-GGA calculation of InAs2S after structural relaxation, from the Alexandria database.

```
InAs2S
1.0
0.000 3.430 3.430
3.430 0.000 3.430
3.430 3.430 0.000
As S In
2 1 1
direct
0.250 0.250 0.250
0.750 0.750 0.750
0.000 0.000 0.000
0.500 0.500 0.500
```

Computed properties:
Offset from the most stable computed form ... 22.9 kJ per mole of atoms
Space group ... Fm-3m (225)
DOS at the Fermi energy ... 2.8 states/eV/f.u.
Raw formation energy ... 0.449 eV/atom


The following is a PBE-GGA calculation of InAsS2 after structural relaxation, from the Alexandria database.

```
InAsS2
1.0
-5.528 1.277 5.990
-3.118 4.070 6.464
-5.813 4.351 3.916
As S In
1 2 1
direct
0.000 0.000 0.000
0.896 0.896 0.896
0.104 0.104 0.104
0.500 0.500 0.500
```

Computed properties:
Space group ... R-3m (166)
DOS at the Fermi energy ... 0.8 states/eV/f.u.
Raw formation energy ... -0.118 eV/atom


The following is a PBE-GGA calculation of InAsS2 after structural relaxation, from the Alexandria database.

```
InAsS2
1.0
-8.794 -0.497 -0.384
-7.921 -3.813 0.670
-8.176 -1.173 3.084
As S In
1 2 1
direct
0.500 0.500 0.500
0.891 0.891 0.891
0.109 0.109 0.109
0.000 0.000 0.000
```

Computed properties:
Space group ... R-3m (166)
DOS at the Fermi energy ... 1.4 states/eV/f.u.
Raw formation energy ... -0.051 eV/atom


The following is a PBE-GGA calculation of InAs2S after structural relaxation, from the Alexandria database.

```
InAs2S
1.0
-0.820 -1.618 -5.231
-4.246 -3.153 1.641
-6.920 3.011 -2.777
As S In
4 2 2
direct
0.578 0.125 0.250
0.172 0.625 0.250
0.375 0.422 0.750
0.875 0.828 0.750
0.500 0.500 0.000
0.250 0.750 0.500
0.000 0.000 0.000
0.750 0.250 0.500
```

Computed properties:
Offset from the most stable computed form ... 0.0 kJ per mole of atoms
Space group ... I-42d (122)
DOS at the Fermi energy ... 1.2 states/eV/f.u.
Raw formation energy ... 0.212 eV/atom


The following is a PBE-GGA calculation of InSbAsS after structural relaxation, from the Alexandria database.

```
InSbAsS
1.0
3.933 -0.002 0.010
-1.964 3.408 -0.010
-1.917 -1.164 9.174
In Sb As S
1 1 1 1
direct
0.225 0.996 0.221
0.204 0.490 0.694
0.428 0.099 0.527
0.472 0.617 0.088
```

Computed properties:
Space group ... Cm (8)
DOS at the Fermi energy ... 1.9 states/eV/f.u.
Raw formation energy ... -0.125 eV/atom

~~~~~

Material: CaHoAgRh
Method: DFT, PBE
State: relaxed
Yesterday John Maxwell's post wondered how much the average person would do to save ten people from a ruthless tyrant. I remember asking some of my friends a vaguely related question as part of an investigation of the Trolley Problems:
You are a doctor in a small rural hospital. You have ten patients, each of whom is dying for the lack of a separate organ; that is, one person needs a heart transplant, another needs a lung transplant, another needs a kidney transplant, and so on. A traveller walks into the hospital, mentioning how he has no family and no one knows that he's there. All of his organs seem healthy. You realize that by killing this traveller and distributing his organs among your patients, you could save ten lives. Would this be moral or not?
I don't want to discuss the answer to this problem today. I want to discuss the answer one of my friends gave, because I think it illuminates a very interesting kind of defense mechanism that rationalists need to be watching for. My friend said:
It wouldn't be moral. After all, people often reject organs from random donors. The traveller would probably be a genetic mismatch for your patients, and the transplantees would have to spend the rest of their lives on immunosuppressants, only to die within a few years when the drugs failed.
On the one hand, I have to give my friend credit: his answer is biologically accurate, and beyond a doubt the technically correct answer to the question I asked. On the other hand, I don't have to give him very much credit: he completely missed the point and lost a valuable effort to examine the nature of morality.
So I asked him, "In the least convenient possible world, the one where everyone was genetically compatible with everyone else and this objection was invalid, what would you do?"
He mumbled something about counterfactuals and refused to answer. But I learned something very important from him, and that is to always ask this question of myself. Sometimes the least convenient possible world is the only place where I can figure out my true motivations, or which step to take next. I offer three examples:
1: Pascal's Wager. Upon being presented with Pascal's Wager, one of the first things most atheists think of is this:
Perhaps God values intellectual integrity so highly that He is prepared to reward honest atheists, but will punish anyone who practices a religion he does not truly believe simply for personal gain. Or perhaps, as the Discordians claim, "Hell is reserved for people who believe in it, and the hottest levels of Hell are reserved for people who believe in it on the principle that they'll go there if they don't."
This is a good argument against Pascal's Wager, but it isn't the least convenient possible world. The least convenient possible world is the one where Omega, the completely trustworthy superintelligence who is always right, informs you that God definitely doesn't value intellectual integrity that much. In fact (Omega tells you) either God does not exist or the Catholics are right about absolutely everything.
Would you become a Catholic in this world? Or are you willing to admit that maybe your rejection of Pascal's Wager has less to do with a hypothesized pro-atheism God, and more to do with a belief that it's wrong to abandon your intellectual integrity on the off chance that a crazy deity is playing a perverted game of blind poker with your eternal soul?
2: The God-Shaped Hole. Christians claim there is one in every atheist, keeping him from spiritual fulfillment.
Some commenters on Raising the Sanity Waterline don't deny the existence of such a hole, if it is intepreted as a desire for purpose or connection to something greater than one's self. But, some commenters say, science and rationality can fill this hole even better than God can.
What luck! Evolution has by a wild coincidence created us with a big rationality-shaped hole in our brains! Good thing we happen to be rationalists, so we can fill this hole in the best possible way! I don't know - despite my sarcasm this may even be true. But in the least convenient possible world, Omega comes along and tells you that sorry, the hole is exactly God-shaped, and anyone without a religion will lead a less-than-optimally-happy life. Do you head down to the nearest church for a baptism? Or do you admit that even if believing something makes you happier, you still don't want to believe it unless it's true?
3: Extreme Altruism. John Maxwell mentions the utilitarian argument for donating almost everything to charity.
Some commenters object that many forms of charity, especially the classic "give to starving African orphans," are counterproductive, either because they enable dictators or thwart the free market. This is quite true.
But in the least convenient possible world, here comes Omega again and tells you that Charity X has been proven to do exactly what it claims: help the poor without any counterproductive effects. So is your real objection the corruption, or do you just not believe that you're morally obligated to give everything you own to starving Africans?
You may argue that this citing of convenient facts is at worst a venial sin. If you still get to the correct answer, and you do it by a correct method, what does it matter if this method isn't really the one that's convinced you personally?
One easy answer is that it saves you from embarrassment later. If some scientist does a study and finds that people really do have a god-shaped hole that can't be filled by anything else, no one can come up to you and say "Hey, didn't you say the reason you didn't convert to religion was because rationality filled the god-shaped hole better than God did? Well, I have some bad news for you..."
Another easy answer is that your real answer teaches you something about yourself. My friend may have successfully avoiding making a distasteful moral judgment, but he didn't learn anything about morality. My refusal to take the easy way out on the transplant question helped me develop the form of precedent-utilitarianism I use today.
But more than either of these, it matters because it seriously influences where you go next.
Say "I accept the argument that I need to donate almost all my money to poor African countries, but my only objection is that corrupt warlords might get it instead", and the obvious next step is to see if there's a poor African country without corrupt warlords (see: Ghana, Botswana, etc.) and donate almost all your money to them. Another acceptable answer would be to donate to another warlord-free charitable cause like the Singularity Institute.
If you just say "Nope, corrupt dictators might get it," you may go off and spend the money on a new TV. Which is fine, if a new TV is what you really want. But if you're the sort of person who would have been convinced by John Maxwell's argument, but you dismissed it by saying "Nope, corrupt dictators," then you've lost an opportunity to change your mind.
So I recommend: limit yourself to responses of the form "I completely reject the entire basis of your argument" or "I accept the basis of your argument, but it doesn't apply to the real world because of contingent fact X." If you just say "Yeah, well, contigent fact X!" and walk away, you've left yourself too much wiggle room.
In other words: always have a plan for what you would do in the least convenient possible world.
I wouldn't take it. I desire to help others, and it gives me pleasure to do so, it makes me suffer to harm others, and I desire not to do so.
Being perpetually in a state of extreme pleasure would make this pleasure/suffering irrelevant, and might lead me to behave less in line with my desires.
So, being perpetually in a state of extreme pleasure seems like a bad idea to me.
I agree with you completely. I can understand why others might not agree with me, but for me, pleasure isn't so much a goal as a result of accomplishing my goals.